D&D book Tasha’s Cauldron of Everything shatters expectations, for better or worse
The latest sourcebook bends the rules and makes diversity powerful.

There’s no wrong way to play D&D.
That advice was given to me by Principal Rules Designer of Dungeons & Dragons Jeremy Crawford, and it’s stuck with me in the months since. The tabletop role-playing game’s textbook-sized tomes and expansive rules can be intimidating, but even if you break tradition — or the rules — all that really matters is everyone at the table enjoys themselves.
== Next to the article, the page also holds calculated crystals ==
-- begin --
Tl2Pt3: relaxed, r²SCAN.

```
Tl2Pt3
1.0
-1.265 -3.274 -4.481
0.693 -2.351 5.137
-13.682 1.697 2.623
Pt Tl
12 8
direct
0.166 0.834 0.414
0.834 0.668 0.914
0.166 0.834 0.086
0.668 0.834 0.086
0.668 0.834 0.414
0.166 0.332 0.414
0.834 0.166 0.586
0.332 0.166 0.586
0.166 0.332 0.086
0.834 0.166 0.914
0.332 0.166 0.914
0.834 0.668 0.586
0.667 0.333 0.407
0.667 0.333 0.750
0.000 0.000 0.750
0.000 0.000 0.250
0.333 0.667 0.250
0.333 0.667 0.907
0.667 0.333 0.093
0.333 0.667 0.593
```

Calculated formation energy   -0.160 eV/atom
E_tot   -52.324 eV per atom
Crystal system   hexagonal

~~~~~

# PBE-GGA V2PS10, relaxed
data_V2PS10
_chemical_formula_sum 'V16 P8 S80'
_symmetry_space_group_name_H-M 'P 1 21/c 1'
_symmetry_Int_Tables_number 14
_cell_length_a 12.6907
_cell_length_b 7.6750
_cell_length_c 24.7568
_cell_angle_alpha 90.00
_cell_angle_beta 95.79
_cell_angle_gamma 90.00
loop_
_symmetry_equiv_pos_as_xyz
'x,y,z'
'-x,-y,-z'
'-x,y+1/2,-z+1/2'
'x,-y+1/2,z+1/2'
loop_
_atom_site_label
_atom_site_type_symbol
_atom_site_fract_x
_atom_site_fract_y
_atom_site_fract_z
V1 V 0.0223 0.0573 0.3642
V2 V 0.1840 0.0570 0.6339
V3 V 0.3158 0.0503 0.3636
V4 V 0.4767 0.0649 0.6330
P1 P 0.1802 0.1263 0.9011
P2 P 0.3159 0.1352 0.0833
S1 S 0.0363 0.1046 0.8589
S2 S 0.0433 0.1092 0.5657
S3 S 0.0720 0.1350 0.7006
S4 S 0.0948 0.6383 0.0706
S5 S 0.1173 0.6145 0.2047
S6 S 0.1563 0.0512 0.2977
S7 S 0.1644 0.6537 0.8488
S8 S 0.1786 0.5593 0.4676
S9 S 0.1833 0.1246 0.4310
S10 S 0.1898 0.1055 0.1250
S11 S 0.3045 0.1132 0.8572
S12 S 0.3159 0.1045 0.5637
S13 S 0.3228 0.5414 0.5150
S14 S 0.3370 0.6380 0.1576
S15 S 0.3428 0.0883 0.6988
S16 S 0.3839 0.6525 0.8013
S17 S 0.4066 0.6135 0.9349
S18 S 0.4285 0.0960 0.2943
S19 S 0.4566 0.1335 0.4289
S20 S 0.4609 0.0964 0.1230
# Magnetic moment (μB per cell): 0.0
# MP2020-corrected energy (eV per atom): -5.8500
# Formation energy (eV per atom): -0.854
# Crystal system: monoclinic
# Theoretical density (Mg/m³): 2.5

=====

# PBE-GGA Ca2CuBr2O2, relaxed
data_Ca2CuBr2O2
_chemical_formula_sum 'Ca4 Cu2 Br4 O4'
_symmetry_space_group_name_H-M 'I 4/m m m'
_symmetry_Int_Tables_number 139
_symmetry_space_group_name_Hall '-I 4 2'
_cell_length_a 3.8849
_cell_length_b 3.8849
_cell_length_c 17.6984
_cell_angle_alpha 90.00
_cell_angle_beta 90.00
_cell_angle_gamma 90.00
loop_
_atom_site_label
_atom_site_type_symbol
_atom_site_fract_x
_atom_site_fract_y
_atom_site_fract_z
Ca1 Ca 0.0000 0.0000 0.0889
Cu1 Cu 0.0000 0.0000 0.5000
Br1 Br 0.0000 0.0000 0.3297
O1 O 0.0000 0.5000 0.0000
# Magnetic moment (μB per cell): 0.0
# MP2020-corrected energy (eV per atom): -5.1477
# Formation energy (eV per atom): -2.108
# Crystal system: tetragonal
# Theoretical density (Mg/m³): 4.2

=====

# PBE-GGA MgAs4, relaxed
data_MgAs4
_chemical_formula_sum 'Mg4 As16'
_symmetry_space_group_name_H-M 'P 41 21 2'
_symmetry_Int_Tables_number 92
_cell_length_a 5.4740
_cell_length_b 5.4740
_cell_length_c 16.0998
_cell_angle_alpha 90.00
_cell_angle_beta 90.00
_cell_angle_gamma 90.00
loop_
-- stop --
Tasha’s Cauldron of Everything, the game’s latest sourcebook published by Wizards of the Coast on November 17, takes this sentiment as its foundation. Rather than reinforce rigid traditions, rules, and definitions that’ve been in the game for up to 46 years, it shatters boundaries, expanding the game in profound, progressive ways — for better or for worse.
For newbies looking to try out D&D for the first time, Tasha’s Cauldron of Everything makes everything easier and more flexible than ever before. But for veteran players, some of these new rules feel dangerous and even game-breaking.
This looks awfully close to my idea.
Crawford has made this “no wrong way to play” point numerous times on Twitter, where people often ask him for clarifications on the tabletop roleplaying game’s many rules. Shortly before the release of Eberron: Rising from the Last War in November 2019, I asked Crawford if the Artillerist Artificer — a kind of magical inventor who can build arcane cannons — could build their small Eldritch Cannon as a shoulder-mounted projectile weapon.
“That’s not the intended use, but there’s no rule against it,” he said with a chuckle. This is exactly the kind of wacky idea that Tasha’s Cauldron of Everything seems to encourage. Not only does it reprint all of the Artificer rules from Eberron, but it adds the Armorer subclass that lets you essentially play as Iron Man in a high fantasy setting.
Tasha’s Cauldron of Everything is about satiating your wildest D&D impulses by introducing rule variants that make it much easier to customize a character, and to dip into various class abilities. To an extent, this kind of flexibility could jeopardize the core identity of the game’s races and classes.
Orcs, Tiefling, and Drow are archetypically evil races, and their archaic positions within the game reflect and reinforce racist stereotypes in the real world. Other recent books like Eberron: Rising from the Last War and Explorer’s Guide to Wildemount bucked this trend in subtler ways, but it’s on full display in Tasha’s Cauldron of Everything.
The Kyrn Dynasty of Drow in 'Explorer's Guide to Wildemount" seems more noble than their Empire enemies.
“A typical character race in D&D includes little or no choice — a lack that can make it difficult to realize certain character concepts,” a passage from the book reads. The end result is some new variety that lets you customize ability scores, languages, and proficiencies. Certain “cultural assumptions” that go along with all of the game’s races are rejected, and this book offers a way to “step outside” that. All races are morally and culturally complex. And now, it impacts more than just their moral alignment.
Some races are optimal for specific classes. Elves and Halflings make good Rogues because they get innate boosts to Dexterity. Dwarves make excellent frontline combatants thanks to their Constitution stat increase. To play as a Tiefling Cleric is borderline foolish when the boosts to Charisma and Intelligence do virtually nothing. If you ignore these stats, your character could bring the whole team down. Until now.
Tasha’s Cauldron of Everything makes it so that a player can essentially overhaul their Background and Race to suit their whims. The “Custom Lineage” option essentially lets anyone apply the Variant Human race to literally anything, even a humanoid race of their own choosing. Other options for shifting Skill proficiencies or even Subclass around also exist. Traditionalists might cringe, but these offer exciting ways for players to tell interesting character stories … with their Dungeon Master’s permission, of course.
You can design your own custom Background (origin story) to match your bespoke race and optimize it however you please, swapping out skills for weapon or tool proficiencies and vice versa. None of this is really game-breaking, but it certainly bends the rules rather far.
Bladesingers — a mashup of Wizard and Bard — aren't new to the game, but they fit right in here.
Through new Subclass and Feat options, players can blend together various abilities without spending the experience points to actually multiclass. Barbarian gets a Path of the Wild Magic that feels like a crossover with the Wild Magic Sorcerer. Clerics get a Peace Domain that’s reminiscent of a magical Way of Tranquility Monk. The Druid Circle of Wildfire leans into the fire magic you might get from a Wizard or Sorcerer. There’s a lot of synergy at play within these options, but less so in new Feats that let you dip into almost anything.
Anyone can learn an Artificer Cantrip and a Level 1 spell with Artificer Initiate. Eldritch Adept lets you learn two Eldritch Invocations, the Warlock’s key class feature. If your character knows the Darkness spell but then chooses the Devil’s Sight Invocation, then they alone can see in a room of blind enemies. Fighting Initiate lets any class adopt a Fighting Style from the Fighter class, and Metamagic Adept grants any arcane class the Sorcerer’s best feature. The possibilities for optimizing overpowered characters will seem tantalizing to veteran players.
At the same time, traditionalists might frown upon these rules if their loyalties lie with previous editions and their more rigid game structures. But a major factor in D&D’s exploding popularity over the last several years has to do with the 5th edition, the loosest and most accessible version of the game ever made.
This idea that you can play D&D in any way is somewhat contradictory to the game itself, which has so many rules to it that there are entire tomes the size of college textbooks devoted to outlining said rules. In its current form, the game puts a lot of limitations on what players can choose, who they can be, and what they can do for their characters.
'Tasha's Cauldron of Everything' standard cover art.
For better or for worse, Tasha’s Cauldron of Everything is all about smashing through those boundaries to let players do whatever the hell they want.
Veteran players keen to study the game and optimize their characters will inevitably discover a treasure-trove of game-breaking adjustments in here. And new players potentially alienated by the rigid rules (why can’t an elf have wings?), are now given the freedom to design entirely original characters all their own.
These kinds of creative innovations aimed at diversity and inclusion might alienate the game’s traditionalists, but it’s totally awesome to imagine what players might concoct.
Tasha's Cauldron of Everything is now available.